Wednesday, January 19, 2011

GMC: it's not what they think they want that counts

I've been writing synopses, plotting, thinking about GMCs* and all that carry-on, and I had one of those minor epiphany moments I thought I'd share with you all (y'all? Youse? You know what I mean).

External motivation is usually easy, right? In your GMC? They want to slay the vampires or stop the serial killer or find the Magical Artifact of Plot-Driving. And the motivation is usually pretty simple -- if they don't, the vampire will eat everyone or the killer will kill again or the bad guys will rule the world.

It's the internal motivations that give us the trouble. Not so simple. And here's where my epiphany comes in.

Say you've got a character with a troubled past that's stopping him from finding true lurve. His last girlfriend fell off a cliff because he failed to save her.** And now he's convinced he's Dangerous and Unworthy of A Good Woman's Love.

His solution? Become a cold snarky rude-ass bastard and push away every woman who's even faintly interested in him. Which happens a lot, because he's, like, the hottest dude on the block. Of course.

So the GMC is easy, right? His internal goal is to hide from love by becoming a cold snarky rude-ass bastard. Like so:
G: to hide from love
M: because he killed his last girlfriend, and he thinks he's unworthy of love
C: chicks hit on him all the time and it's like, really hard not to pick up. And hey, the heroine's hot.


Heh. NO. No, no. You'll only confuse yourself. In a romance, no one's goal is to never find love. Hiding from love is only what he thinks he wants. He may behave like this initially, but his real, secret goal is to become whole again -- to accept that the cliffhanger incident wasn't his fault and that he is indeed Worthy Of Love.

So your GMC will actually look something like this:
G: to prove himself worthy of love
M: his last girlfriend died and he thinks it's his fault; ever since then, he's avoided relationships by being a cold snarky rude-ass bastard
C: he doesn't want to let his guard down, in case he gets hurt again (this is important. Sure, he doesn't want to drop any more chicks off cliffs -- but the real pain he's trying to avoid is his own. It's a romance. That's the way it is. Learn to love it, or go write a thriller.)

Note these things about the comparison between those two GMCs:
1) the real goal is a secret. It's the opposite of the way he's actually behaving at the beginning of the story. And it'll be the heroine who makes him lose his cool and go for what he really wants.
2) the conflict in the first one is silly. Not being able to articulate a sensible conflict is usually a good indicator that you've got the goal wrong.
3) the real conflict? His own emotional pain. Sure, sometimes there are other aspects, but usually in a romance it's 'because if he goes for his goal, he risks getting hurt'.

And you want to know the really good part?

This transition the hero goes through, from living his pretend goal to striving for his secret goal? From living behind a facade, to showing his true colours in order to get what he really wants? Character arc, folks. And it happened while you weren't watching :)

* That's Goal, Motivation, Conflict, for those who aren't up with teh buzzwords, dude.
** ahem. Not as silly as is sounds, okay? I've actually used this one -- Indigo dropped his ex-lady in SHADOWGLASS and boy, does it carve him up. Literally :)


  1. Peter aka King Yob the tall and skinnyJan 19, 2011, 10:26:00 PM

### These materials data were left in the piece by mistake
/*
DFT (PBE) results for a relaxed La2HfAlO6 crystal.

The size of the total moment is 0.00 μB per formula unit. The density of states at the Fermi level comes out at 3.9 states/eV/f.u. The uncorrected formation energy is -3.18 eV per atom.

The structure belongs to space group P4/mmm (No. 123); the cell edges are 4.0442, 4.0442 and 7.8047 Å and the angles 90.00°, 90.00° and 90.00°. The asymmetric unit holds La at (0.0000, 0.0000, 0.2264), Hf at (0.5000, 0.5000, 0.5000), Al at (0.5000, 0.5000, 0.0000), O at (0.0000, 0.5000, 0.0000), O at (0.0000, 0.5000, 0.5000) and O at (0.5000, 0.5000, 0.2349).



DFT (PBE) results for a relaxed ScAlRu2 crystal.

The size of the total moment is 0.00 μB per formula unit. The density of states at the Fermi level comes out at 3.7 states/eV/f.u. For the calculated total energy, the calculation gives -7.163 eV per atom.

The structure belongs to space group R3m (No. 160, hexagonal axes); the cell edges are 2.9093, 2.9093 and 26.5359 Å and the angles 90.00°, 90.00° and 120.00°. The asymmetric unit holds Sc at (0.0000, 0.0000, 0.0000), Al at (0.0000, 0.0000, 0.7636), Ru at (0.0000, 0.0000, 0.2499) and Ru at (0.0000, 0.0000, 0.5055).

=====

(1)
VASP calculation (PBE) on a geometry-optimized AcPrSn structure.

Summary:
The magnetic moment comes out at 0.00 μB per cell. For the energy above the most stable polymorph in this dataset, the calculation gives 29 meV/atom. Its space-group type is R3m. As for the total DFT energy (no corrections): -14.00 eV per formula unit.

a b c (Å): 4.878 4.878 4.878
angles (deg): 74.35 74.35 74.35
Fractional positions:
Ac 0.467 0.467 0.467
Pr 0.082 0.082 0.082
Sn 0.781 0.781 0.781



(2)
VASP calculation (PBE) on a geometry-optimized SrAcPr structure.

Summary:
The magnetic moment comes out at 0.25 μB per cell. For the energy above the most stable polymorph in this dataset, the calculation gives 0 meV/atom. Its space-group type is F-43m. As for the total DFT energy (no corrections): -8.54 eV per formula unit.

a b c (Å): 6.023 6.023 6.023
angles (deg): 60.00 60.00 60.00
Fractional positions:
Ac 0.500 0.500 0.500
Pr 0.250 0.250 0.250
Sr 0.000 0.000 0.000



(3)
VASP calculation (PBE) on a geometry-optimized AcPrTa structure.

Summary:
The magnetic moment comes out at 1.34 μB per cell. Its energy relative to the elements is 0.9025 eV/atom. Its space-group type is F-43m. As for the total DFT energy (no corrections): -18.03 eV per formula unit.

a b c (Å): 5.265 5.265 5.265
angles (deg): 60.00 60.00 60.00
Fractional positions:
Ac 0.750 0.750 0.750
Pr 0.250 0.250 0.250
Ta 0.000 0.000 0.000
*/

    Just when we thought you were dreaming of buying a chevy... ;)
